Revocable trusts can be a beneficial estate planning tool. A valid Trust requires a Trustee, a beneficiary and property in the Trust.  However, the funding of a trust can be easily overlooked or put off until a later date.  You have taken time to meet with professionals and create an estate plan.  You have attended the signing ceremony for your Trust however your Trust is not complete.  You must take time to fund your Revocable trust.

A Revocable Trust can be an effective way to limit probate proceedings and provide for asset management in the event of the Trustmaker’s incapacity. In addition, revocable trusts also referred to as a “living trusts” are flexible options to achieve estate planning goals, including tax, long-term care, and asset-protection planning. 

However, failure to fund the trust, may result in your heirs having to go through a more complex probate proceeding that you wanted to avoid or limit. Likewise, a failure to fund your trust can result in your assets being distributed to individuals that you did not intend to have your assets. Not funding your trust can undermine your whole estate plan. 

To transfer assets to the trust, you will need to retitle the assets you wish to be included in your trust, in the name of the trust. Your financial institution, bank and investment accounts will need to be titled into your trust.  You should consult with your attorney for the exact name and wording of your Revocable Trust. 

Depending on the institution, you might be able to change the name on an existing account. However, you may need to open a new account in the name of your trust and then transfer your funds. If you are placing real estate into the trust, you should consult with your attorney to ensure it is done correctly. You should also consult with your attorney before placing life insurance or annuities into a revocable trust. And consult with your attorney before naming the trust as the beneficiary of your IRAs or 401(k) because that could have tax consequence.

The financial institution or attorney may require a copy of your trust including the signature page, as well as signatures of all the trustees to be certain your assets are titled properly. As long as you are serving as your own trustee or co-trustee, you can use your Social Security number for the trust. If you are not a trustee, the trust will have to obtain a separate tax identification number and file a separate tax return each year. You will need to speak with a tax professional regarding tax implications and how to file a tax return.

Next to the piece, the page also holds data records:
-- begin --
## a
Ti5Fe7O18: optimized geometry, GGA+U.

```
data_Ti5Fe7O18
_chemical_formula_sum 'Ti5 Fe7 O18'
_cell_length_a 5.1536
_cell_length_b 5.5549
_cell_length_c 11.7954
_cell_angle_alpha 97.61
_cell_angle_beta 102.58
_cell_angle_gamma 90.07
_space_group_name_H-M_alt 'P 1'
_space_group_IT_number 1
loop_
_space_group_symop_operation_xyz
'x,y,z'
loop_
_atom_site_label
_atom_site_fract_x
_atom_site_fract_y
_atom_site_fract_z
_atom_site_occupancy
Ti1 0.0000 0.0000 0.0000 1
Ti2 0.0836 0.6835 0.1907 1
Ti3 0.3121 0.3462 0.6603 1
Ti4 0.6499 0.6677 0.3302 1
Ti5 0.8249 0.8478 0.6680 1
Fe1 0.1630 0.1774 0.3324 1
Fe2 0.2463 0.8492 0.5215 1
Fe3 0.4175 0.0314 0.8631 1
Fe4 0.4857 0.5075 0.9952 1
Fe5 0.5914 0.1802 0.1919 1
Fe6 0.7569 0.3521 0.5228 1
Fe7 0.9119 0.5164 0.8584 1
O1 0.0068 0.5050 0.6885 1
O2 0.0939 0.2081 0.5034 1
O3 0.1461 0.2448 0.9342 1
O4 0.1626 0.9972 0.7009 1
O5 0.1993 0.0260 0.1511 1
O6 0.2505 0.7727 0.9253 1
O7 0.3424 0.8193 0.3544 1
O8 0.4030 0.5391 0.1670 1
O9 0.4912 0.5827 0.6033 1
O10 0.5284 0.3569 0.8125 1
O11 0.5363 0.3364 0.3669 1
O12 0.6085 0.0891 0.5999 1
O13 0.6754 0.1498 0.0201 1
O14 0.7395 0.8705 0.8151 1
O15 0.8240 0.9138 0.2698 1
O16 0.8593 0.7017 0.4898 1
O17 0.8714 0.6688 0.0389 1
O18 0.9247 0.4509 0.2564 1
```

Magnetic moment   4.0 μB/f.u.


## b
Ti5Fe7O18: optimized geometry, GGA+U.

```
data_Ti5Fe7O18
_chemical_formula_sum 'Ti10 Fe14 O36'
_cell_length_a 5.5940
_cell_length_b 9.1879
_cell_length_c 12.7676
_cell_angle_alpha 87.98
_cell_angle_beta 87.15
_cell_angle_gamma 84.48
_space_group_name_H-M_alt 'P 1'
_space_group_IT_number 1
loop_
_space_group_symop_operation_xyz
'x,y,z'
loop_
_atom_site_label
_atom_site_fract_x
_atom_site_fract_y
_atom_site_fract_z
_atom_site_occupancy
Ti1 0.0000 0.0000 0.0000 1
Ti2 0.9997 0.3312 0.6593 1
Ti3 0.0036 0.6732 0.8242 1
Ti4 0.0046 0.6671 0.3236 1
Ti5 0.0906 0.3640 0.4236 1
Ti6 0.5004 0.8419 0.6566 1
Ti7 0.5068 0.1662 0.3273 1
Ti8 0.5177 0.4988 0.9902 1
Ti9 0.5866 0.1940 0.0929 1
Ti10 0.5932 0.8595 0.4235 1
Fe1 0.0102 0.0044 0.4934 1
Fe2 0.0101 0.3407 0.1608 1
Fe3 0.0829 0.6917 0.5910 1
Fe4 0.0890 0.0265 0.2600 1
Fe5 0.0927 0.0317 0.7560 1
Fe6 0.0929 0.6980 0.0900 1
Fe7 0.0973 0.3569 0.9222 1
Fe8 0.5038 0.8338 0.1587 1
Fe9 0.5072 0.5019 0.4956 1
Fe10 0.5109 0.1676 0.8261 1
Fe11 0.5841 0.5257 0.7580 1
Fe12 0.5848 0.5282 0.2570 1
Fe13 0.5876 0.1963 0.5900 1
Fe14 0.5877 0.8613 0.9229 1
O1 0.1252 0.1417 0.9000 1
O2 0.1360 0.5879 0.9518 1
O3 0.1367 0.4711 0.5648 1
O4 0.1404 0.8034 0.2325 1
O5 0.1486 0.2504 0.3016 1
O6 0.1577 0.9104 0.6300 1
O7 0.2740 0.2064 0.6938 1
O8 0.2760 0.8763 0.0252 1
O9 0.2807 0.5390 0.3597 1
O10 0.2848 0.6591 0.7375 1
O11 0.3187 0.3280 0.0542 1
O12 0.3252 0.9914 0.3904 1
O13 0.4408 0.3876 0.8608 1
O14 0.4446 0.6069 0.1104 1
O15 0.4527 0.0603 0.1838 1
O16 0.4536 0.2759 0.4492 1
O17 0.4539 0.9451 0.7840 1
O18 0.4619 0.7269 0.5228 1
O19 0.6377 0.3008 0.2277 1
O20 0.6436 0.7514 0.3004 1
O21 0.6444 0.9678 0.5655 1
O22 0.6501 0.0908 0.9679 1
O23 0.6521 0.4198 0.6310 1
-- stop --

When you acquire new assets, it is important to consider adding them to your trust. Further, it is recommended that you review your trust annually to make sure your assets are properly titled.